Friday, May 20, 2011

30 Day Challenge (day 26)

                              30 Day Challenge
                                               Day 26

day 26 - a picture of something that means a lot to you

I don't know what the kindermusik is all about but i know I'm all about the "FAMILY TIME" no matter what is going on all during the week, i think at least one day on the weekend it should just be family spending time with family. If its nothing but watching movies with popcorn and coke. I rather go out and do something but sometimes money has you on a tight budget, so it doesn't work out that way each time. Now that i have started my own family i think its always good to be able to do things together. Don't get me wrong i love the time that i get alone with the hubby. He is amazing man, and alot of stress on him right now because I'm on modern bed rest and i have to take it easy from here on out, through my pregnancy. He works everyday. and we are running on one vehicle to get back and forth to baby doctor and ob docs. did i mention he works 40mins away. So yes family time is always needed in the MCcollum house.

day 01 - a picture of yourself with ten facts
day 02 - a picture of you and the person you have been closest with the longest
day 03 - a picture of the cast from your favorite show

day 04 - a picture of your night
day 05 - a picture of your favorite memory

day 06 - a picture of a person you'd love to trade places with for a day
day 07 - a picture of your most treasured item

day 08 - a picture that makes you laugh
day 09 - a picture of the person who has gotten you through the mostday 10 - a picture of the person you do the most ****** up things with
day 11 - a picture of something you hate
day 12 - a picture of something you love
day 13 - a picture of your favorite band or artist
day 14 - a picture of someone you could never imagine your life without
day 15 - a picture of something you want to do before you die
day 16 - a picture of someone who inspires you
day 17 - a picture of something that has made a huge impact on your life recently

## Next to the text, the page also holds crystal structures
-- begin --
1.
Computed powder diffractogram of CrH2Rh for copper Kα, from a crystal structure in Alexandria, relaxed with PBE.

Main lines, sorted by position (2θ from 5° to 70°):
| two_theta | I_rel |
| --- | --- |
| 15.6 | 108 |
| 31.8 | 199 |
| 36.8 | 180 |
| 37.7 | 148 |
| 40.9 | 348 |
| 42.3 | 1000 |
| 43.1 | 400 |
| 56.2 | 115 |
| 56.8 | 93 |
| 67.5 | 144 |

Cell and atoms:
```
data_CrH2Rh
_chemical_formula_sum 'Cr4 H8 Rh4'
_cell_length_a 5.6815
_cell_length_b 4.7739
_cell_length_c 4.4176
_cell_angle_alpha 90.00
_cell_angle_beta 90.00
_cell_angle_gamma 90.00
_space_group_name_H-M_alt 'P 1'
_space_group_IT_number 1
_space_group_name_Hall 'P 1'
loop_
_atom_site_label
_atom_site_fract_x
_atom_site_fract_y
_atom_site_fract_z
Cr1 0.1148 0.0807 0.2500
Cr2 0.1148 0.4193 0.7500
Cr3 0.8852 0.5807 0.2500
Cr4 0.8852 0.9193 0.7500
H1 0.0940 0.7500 0.0000
H2 0.0940 0.7500 0.5000
H3 0.3536 0.2500 0.0000
H4 0.3536 0.2500 0.5000
H5 0.6464 0.7500 0.0000
H6 0.6464 0.7500 0.5000
H7 0.9060 0.2500 0.0000
H8 0.9060 0.2500 0.5000
Rh1 0.3606 0.5720 0.2500
Rh2 0.3606 0.9280 0.7500
Rh3 0.6394 0.0720 0.2500
Rh4 0.6394 0.4280 0.7500
```

***

2.
Computed powder diffractogram of TaTi3Ga2 for copper Kα, from a crystal structure in Alexandria, relaxed with PBE.

Main lines, sorted by position (2θ from 5° to 70°):
| two_theta | I_rel |
| --- | --- |
| 13.4 | 209 |
| 22.0 | 89 |
| 25.4 | 115 |
| 29.2 | 162 |
| 39.1 | 1000 |
| 40.8 | 212 |
| 42.6 | 197 |
| 52.2 | 139 |
| 60.5 | 128 |
| 68.4 | 87 |

Cell and atoms:
```
data_TaTi3Ga2
_chemical_formula_sum 'Ta1 Ti3 Ga2'
_cell_length_a 6.9591
_cell_length_b 6.9591
_cell_length_c 3.5023
_cell_angle_alpha 90.00
_cell_angle_beta 90.00
_cell_angle_gamma 144.51
_space_group_name_H-M_alt 'P 1'
_space_group_IT_number 1
_space_group_name_Hall 'P 1'
loop_
_atom_site_label
_atom_site_fract_x
_atom_site_fract_y
_atom_site_fract_z
Ta1 0.0000 0.0000 0.0000
Ti1 0.1712 0.8288 0.5000
Ti2 0.5000 0.5000 0.5000
Ti3 0.8288 0.1712 0.5000
Ga1 0.3433 0.6567 0.0000
Ga2 0.6567 0.3433 0.0000
```

***

3.
Computed powder diffractogram of La12Dy3Al for copper Kα, from a crystal structure in Alexandria, relaxed with PBE.

Main lines, sorted by position (2θ from 5° to 70°):
| two_theta | I_rel |
| --- | --- |
| 17.8 | 13 |
| 27.8 | 15 |
| 30.0 | 1000 |
| 34.6 | 166 |
| 34.9 | 341 |
| 50.0 | 234 |
| 50.3 | 123 |
| 59.2 | 134 |
| 59.7 | 289 |
| 62.5 | 120 |

Cell and atoms:
```
data_La12Dy3Al
_chemical_formula_sum 'La12 Dy3 Al1'
_cell_length_a 5.1348
_cell_length_b 5.1348
_cell_length_c 20.7399
_cell_angle_alpha 90.00
_cell_angle_beta 90.00
_cell_angle_gamma 90.00
_space_group_name_H-M_alt 'P 1'
_space_group_IT_number 1
_space_group_name_Hall 'P 1'
loop_
_atom_site_label
_atom_site_fract_x
_atom_site_fract_y
_atom_site_fract_z
La1 0.0000 0.0000 0.0000
La2 0.0000 0.0000 0.2474
La3 0.0000 0.0000 0.5000
La4 0.0000 0.0000 0.7526
La5 0.0000 0.5000 0.1179
La6 0.0000 0.5000 0.3730
La7 0.0000 0.5000 0.6270
La8 0.0000 0.5000 0.8821
La9 0.5000 0.0000 0.1179
-- stop --

day 18 - a picture of your biggest insecurity
day 19 - a picture and a letter
day 20 - a picture of somewhere you'd love to travel
day 21 - a picture of something you wish you could forget
day 22 - a picture of something you wish you were better at
day 23 - a picture of your favorite bookday 24 - a picture of something you wish you could change
day 25 - a picture of your day
day 26 - a picture of something that means a lot to youday 27 - a picture of yourself and a family member
day 28 - a picture of something you're afraid of
day 29 - a picture that can always make you smile
day 30 - a picture of someone you miss


  1. Very cute blog!

    I just found you through one of the Friday blog hops! Can't wait to read more. Have a great weekend.

    Amanda @

  2. Thank you for stopping by Coupons, Crafts and Causes. I was already a follower of yours.

    Have a great weekend,

    Coupons, Crafts and Causes
    Coupons, Crafts and Causes - Facebook
    Indiana Inker
    Indiana Inker - FB
    Mathews Marketplace

  3. Thanks for stopping by Pot of Gold Giveaways! I'm following your blog and twitter now.


  4. Hi Christina- thanks for stopping by WynnieBee for Foto Friday : D Returning the favor and now following you on GFC and Twitter. Hang in there - we were a one car family for quite awhile and now DH has a classic car and we each have our own cars - older models but they run : D Hope you have a wonderful weekend!
